Activity.
The reader should find the line underneath that holds "0.8321 0.1679", then reproduce that line and all lines after it there.

Entries.
/*
Entry from Alexandria via LeMat-Bulk: a relaxed structure of MgZnSeN2 (PBE). Values from VASP.

```
&SYSTEM
  ibrav = 0, nat = 5, ntyp = 4
/
ATOMIC_SPECIES
Mg 24.30 Mg.upf
Zn 65.41 Zn.upf
Se 78.96 Se.upf
N 14.01 N.upf
ATOMIC_POSITIONS crystal
Mg 0.000 0.000 0.000
Zn 0.500 0.500 0.500
Se 0.000 0.000 0.500
N 0.000 0.500 0.000
N 0.500 0.000 0.000
CELL_PARAMETERS angstrom
4.046 0.000 0.000
0.000 4.046 0.000
0.000 0.000 5.695
```

Output
space group = P4/mmm
energy above the lowest structure with this stoichiometry = 0.180 eV/atom
formation energy without anion corrections = 1.1441 eV per atom
ρ = 3.50 Mg/m³

=====

Entry from Alexandria via LeMat-Bulk: a relaxed structure of LiZrNbMo (PBE). Values from VASP.

```
&SYSTEM
  ibrav = 0, nat = 4, ntyp = 4
/
ATOMIC_SPECIES
Li 6.94 Li.upf
Zr 91.22 Zr.upf
Nb 92.91 Nb.upf
Mo 95.94 Mo.upf
ATOMIC_POSITIONS crystal
Li 0.000 0.000 0.000
Zr 0.750 0.750 0.750
Nb 0.250 0.250 0.250
Mo 0.500 0.500 0.500
CELL_PARAMETERS angstrom
0.000 3.274 3.274
3.274 0.000 3.274
3.274 3.274 0.000
```

Output
space group = F-43m
formation enthalpy at 0 K = 0.12 eV/atom
ρ = 6.79 Mg/m³

=====

Entry from Alexandria via LeMat-Bulk: a relaxed structure of RbBa (PBE). Values from VASP.

```
&SYSTEM
  ibrav = 0, nat = 8, ntyp = 2
/
ATOMIC_SPECIES
Rb 85.47 Rb.upf
Ba 137.33 Ba.upf
ATOMIC_POSITIONS crystal
Rb 0.000 0.000 0.595
Rb 0.000 0.595 0.000
Rb 0.405 0.405 0.405
Rb 0.595 0.000 0.000
Ba 0.000 0.000 0.215
Ba 0.000 0.215 0.000
Ba 0.215 0.000 0.000
Ba 0.785 0.785 0.785
CELL_PARAMETERS angstrom
-7.080 7.080 7.080
7.080 -7.080 7.080
7.080 7.080 -7.080
```

Output
space group = I-43m
formation enthalpy at 0 K = 0.52 eV/atom
ρ = 1.04 Mg/m³

=====

Ordered DOS at the Fermi energy results: 0.31, 0.99, 1.56; unit states/eV/atom.

----------

[1]
Density functional theory data (PBE-GGA) for a relaxed structure of CdTe2.

Lattice parameters (Å, degrees): 13.3934 13.3934 4.1204 90.00 90.00 161.88
Positions (direct):
Cd 0.3297 0.6703 0.0000
Cd 0.6703 0.3297 0.0000
Te 0.8321 0.1679 0.5000
Te 0.1679 0.8321 0.5000
Te 0.0000 0.0000 0.0000
Te 0.5000 0.5000 0.5000

As for the formation energy from raw total energies: 0.03 eV/atom. As for the total moment: 0.0 μB/cell.

***

[2]
Density functional theory data (PBE-GGA) for a relaxed structure of CaAuSe2.

Lattice parameters (Å, degrees): 4.7841 4.0068 5.8526 63.93 90.00 90.00
Positions (direct):
Se 0.5000 0.3474 0.3908
Se 0.0000 0.0394 0.8921
Ca 0.5000 0.5740 0.8314
Au 0.0000 0.5391 0.3858

As for the formation energy from raw total energies: -0.90 eV/atom. As for the total moment: 0.0 μB/cell.

----------

ScBeInCo (GGA-PBE, relaxed); space group = F-43m (216); ΔE to the lowest computed polymorph = 112.6 meV/atom; size of the total moment = 0.00 μB/atom; calculated total energy = -4.960 eV per atom
1.0
0.0000 3.1189 3.1189
3.1189 0.0000 3.1189
3.1189 3.1189 0.0000
Co In Be Sc
1 1 1 1
direct
0.7500 0.7500 0.7500 Co
0.0000 0.0000 0.0000 In
0.5000 0.5000 0.5000 Be
0.2500 0.2500 0.2500 Sc

----------

Entry A
Here is a PBEsol-optimized structure of YMg2Re from Alexandria. Energies are from meta-GGA SCAN.

Cell and atoms, written as extended XYZ:
```
4
Lattice="-4.408 -0.781 1.642 -2.915 -2.979 -2.317 -1.116 -4.219 1.921" Properties=species:S:1:pos:R:3 pbc="T T T"
Mg -6.329 -5.984 0.934
Mg -2.110 -1.995 0.311
Re 0.000 0.000 0.000
Y -4.219 -3.989 0.623
```

=====

Entry B
Here is a PBEsol-optimized structure of YMg2Re from Alexandria. Energies are from meta-GGA SCAN.

Cell and atoms, written as extended XYZ:
```
4
Lattice="-2.159 -0.076 3.528 3.533 -0.370 2.154 0.309 4.624 0.288" Properties=species:S:1:pos:R:3 pbc="T T T"
Mg 0.000 0.000 0.000
Mg 0.687 -0.223 2.841
Re -0.925 2.274 1.908
Y 1.921 2.127 1.221
```

=====

Which of them is the least stable? Correct choice: entry A.

=====

Entry A
Here is a PBEsol-optimized structure of Mg5Rh from Alexandria. Energies are from meta-GGA SCAN.

Cell and atoms, written as extended XYZ:
```
6
*/

Outcome.
Te 0.8321 0.1679 0.5000
Te 0.1679 0.8321 0.5000
Te 0.0000 0.0000 0.0000
Te 0.5000 0.5000 0.5000

As for the formation energy from raw total energies: 0.03 eV/atom. As for the total moment: 0.0 μB/cell.

***

[2]
Density functional theory data (PBE-GGA) for a relaxed structure of CaAuSe2.

Lattice parameters (Å, degrees): 4.7841 4.0068 5.8526 63.93 90.00 90.00
Positions (direct):
Se 0.5000 0.3474 0.3908
Se 0.0000 0.0394 0.8921
Ca 0.5000 0.5740 0.8314
Au 0.0000 0.5391 0.3858

As for the formation energy from raw total energies: -0.90 eV/atom. As for the total moment: 0.0 μB/cell.

----------

ScBeInCo (GGA-PBE, relaxed); space group = F-43m (216); ΔE to the lowest computed polymorph = 112.6 meV/atom; size of the total moment = 0.00 μB/atom; calculated total energy = -4.960 eV per atom
1.0
0.0000 3.1189 3.1189
3.1189 0.0000 3.1189
3.1189 3.1189 0.0000
Co In Be Sc
1 1 1 1
direct
0.7500 0.7500 0.7500 Co
0.0000 0.0000 0.0000 In
0.5000 0.5000 0.5000 Be
0.2500 0.2500 0.2500 Sc

----------

Entry A
Here is a PBEsol-optimized structure of YMg2Re from Alexandria. Energies are from meta-GGA SCAN.

Cell and atoms, written as extended XYZ:
```
4
Lattice="-4.408 -0.781 1.642 -2.915 -2.979 -2.317 -1.116 -4.219 1.921" Properties=species:S:1:pos:R:3 pbc="T T T"
Mg -6.329 -5.984 0.934
Mg -2.110 -1.995 0.311
Re 0.000 0.000 0.000
Y -4.219 -3.989 0.623
```

=====

Entry B
Here is a PBEsol-optimized structure of YMg2Re from Alexandria. Energies are from meta-GGA SCAN.

Cell and atoms, written as extended XYZ:
```
4
Lattice="-2.159 -0.076 3.528 3.533 -0.370 2.154 0.309 4.624 0.288" Properties=species:S:1:pos:R:3 pbc="T T T"
Mg 0.000 0.000 0.000
Mg 0.687 -0.223 2.841
Re -0.925 2.274 1.908
Y 1.921 2.127 1.221
```

=====

Which of them is the least stable? Correct choice: entry A.

=====

Entry A
Here is a PBEsol-optimized structure of Mg5Rh from Alexandria. Energies are from meta-GGA SCAN.

Cell and atoms, written as extended XYZ:
```
6